(To do)
Quote only the last part of the listing further below, starting with the line that has "-9.749".

(Contents)
<<<
1.
{
  "formula": "C5H12O",
  "method": "wB97M-V/def2-TZVPD",
  "symbols": ["H", "H", "C", "C", "H", "H", "H", "C", "H", "H", "O", "H", "H", "H", "C", "H", "H", "C"],
  "xyz": [[2.894, -0.324, 1.369], [0.760, 1.231, -0.228], [1.611, -0.763, -0.330], [-1.714, 0.610, 0.037], [-3.709, 0.795, -0.920], [-1.625, 0.574, 1.148], [1.326, -1.769, 0.001], [-3.113, 0.116, -0.298], [3.742, -1.043, -0.009], [-1.571, 1.663, -0.259], [-0.701, -0.193, -0.505], [1.663, -0.785, -1.424], [3.236, 0.652, -0.066], [-3.130, -0.889, -0.736], [0.518, 0.196, 0.075], [0.403, 0.209, 1.175], [-3.538, 0.067, 0.699], [2.947, -0.349, 0.274]],
  "atomic_forces_ev_per_a": [[0.02, -0.02, -0.16], [0.06, -0.16, 0.02], [-0.03, -0.02, -0.05], [-0.22, 0.27, 0.38], [0.28, -0.18, 0.11], [0.15, 0.16, -0.51], [0.08, 0.12, -0.06], [-0.07, 0.01, 0.26], [-0.05, 0.08, 0.04], [0.00, -0.16, 0.01], [-0.05, 0.00, -0.03], [0.06, -0.03, 0.12], [-0.01, -0.14, 0.04], [0.19, 0.27, 0.11], [0.28, 0.07, 0.10], [0.14, -0.04, -0.16], [-0.91, -0.23, -0.21], [0.09, 0.01, 0.02]],
  "nbo_charge": [0.20, 0.16, -0.41, -0.06, 0.21, 0.15, 0.20, -0.64, 0.21, 0.16, -0.53, 0.21, 0.20, 0.23, -0.05, 0.16, 0.21, -0.61],
  "smiles": "CCCOCC",
  "orbital_gap_ev": 10.93,
  "e_above_lowest_kj_mol": 79.3,
  "e_homo_ev": -9.749
}

2.
{
  "formula": "C10H8BrNO2",
  "method": "wB97M-V/def2-TZVPD",
  "symbols": ["H", "C", "C", "H", "H", "N", "H", "C", "C", "C", "C", "H", "O", "H", "C", "C", "O", "C", "Br", "H", "C", "H"],
  "xyz": [[-1.585, 1.879, -2.803], [0.010, 0.188, -0.291], [1.199, -2.010, -0.476], [-3.167, 0.323, 0.836], [-3.505, 1.280, -1.347], [0.059, -4.485, -0.180], [1.598, 0.421, 3.332], [1.597, 0.757, 2.279], [0.447, -3.407, -0.221], [-1.030, -0.095, 0.518], [-2.460, 1.231, -0.989], [2.342, 1.470, 1.904], [1.856, -2.123, -1.471], [-0.738, -0.531, 1.483], [-0.169, 0.845, -1.478], [-2.283, 0.473, 0.144], [1.563, -0.333, 1.427], [-1.397, 1.315, -1.858], [2.927, 0.398, -0.884], [0.723, 1.518, 2.103], [1.340, -0.211, 0.054], [0.674, 1.096, -2.082]],
  "atomic_forces_ev_per_a": [[0.61, -0.71, 0.69], [0.48, 1.53, -1.67], [1.39, -0.02, -1.83], [1.18, 0.06, -0.93], [0.68, 1.02, 0.33], [-0.14, -0.09, 0.06], [0.43, 0.28, -0.80], [-1.66, 3.43, -0.89], [0.71, 2.85, 0.69], [-1.83, 1.09, 1.18], [-1.29, -2.23, -0.49], [0.97, -0.50, 0.96], [-0.44, -0.62, 0.31], [-1.00, -0.12, -0.39], [-0.17, 1.06, -1.14], [-0.49, -1.12, 2.78], [-0.06, -1.47, -0.85], [-0.58, 1.57, -1.30], [-0.74, 0.17, 0.43], [0.51, -1.77, 0.57], [1.02, -4.27, 2.63], [0.42, -0.15, -0.36]],
  "nbo_charge": [0.22, -0.20, 0.48, 0.22, 0.23, -0.29, 0.22, -0.27, 0.19, -0.20, -0.23, 0.19, -0.48, 0.24, -0.19, -0.18, -0.56, -0.18, 0.11, 0.17, 0.28, 0.23],
  "smiles": "CO[C@@](Br)(C(=O)C#N)c1ccccc1",
  "orbital_gap_ev": 9.27,
  "e_above_lowest_kj_mol": 196.6,
  "e_homo_ev": -9.540
}

3.
{
  "formula": "C12H7N2O5Pd",
  "method": "wB97M-V/def2-TZVPD",
  "symbols": ["O", "C", "C", "O", "C", "Pd", "H", "C", "C", "N", "C", "O", "C", "C", "O", "C", "H", "C", "H", "C", "H", "H", "C", "N", "H", "H", "O"],
  "xyz": [[1.260, -0.206, -2.177], [1.922, 1.801, 1.587], [2.276, -0.503, 2.345], [-1.099, 1.575, -3.035], [-0.216, -1.818, -3.058], [-2.291, 0.487, -0.573], [0.278, 2.097, 0.133], [1.242, -0.881, 1.491], [0.855, 1.420, 0.760], [-0.614, -0.569, 0.273], [-1.395, 1.076, -2.040], [-4.937, 0.972, -2.175], [-2.478, 1.541, 1.039], [2.599, 0.866, 2.388], [-1.011, -2.536, -2.567], [0.778, -0.862, -3.101], [2.799, -1.255, 2.929], [0.520, 0.066, 0.754], [-1.320, -2.597, 0.399], [-4.085, 0.767, -1.437], [3.402, 1.223, 3.038], [0.922, -0.862, -4.164], [-0.565, -1.846, 0.604], [0.542, -2.079, 1.345], [0.834, -2.985, 1.699], [2.227, 2.854, 1.600], [-2.445, 2.254, 1.944]],
>>>

(Worked solution)
  "e_homo_ev": -9.749
}

2.
{
  "formula": "C10H8BrNO2",
  "method": "wB97M-V/def2-TZVPD",
  "symbols": ["H", "C", "C", "H", "H", "N", "H", "C", "C", "C", "C", "H", "O", "H", "C", "C", "O", "C", "Br", "H", "C", "H"],
  "xyz": [[-1.585, 1.879, -2.803], [0.010, 0.188, -0.291], [1.199, -2.010, -0.476], [-3.167, 0.323, 0.836], [-3.505, 1.280, -1.347], [0.059, -4.485, -0.180], [1.598, 0.421, 3.332], [1.597, 0.757, 2.279], [0.447, -3.407, -0.221], [-1.030, -0.095, 0.518], [-2.460, 1.231, -0.989], [2.342, 1.470, 1.904], [1.856, -2.123, -1.471], [-0.738, -0.531, 1.483], [-0.169, 0.845, -1.478], [-2.283, 0.473, 0.144], [1.563, -0.333, 1.427], [-1.397, 1.315, -1.858], [2.927, 0.398, -0.884], [0.723, 1.518, 2.103], [1.340, -0.211, 0.054], [0.674, 1.096, -2.082]],
  "atomic_forces_ev_per_a": [[0.61, -0.71, 0.69], [0.48, 1.53, -1.67], [1.39, -0.02, -1.83], [1.18, 0.06, -0.93], [0.68, 1.02, 0.33], [-0.14, -0.09, 0.06], [0.43, 0.28, -0.80], [-1.66, 3.43, -0.89], [0.71, 2.85, 0.69], [-1.83, 1.09, 1.18], [-1.29, -2.23, -0.49], [0.97, -0.50, 0.96], [-0.44, -0.62, 0.31], [-1.00, -0.12, -0.39], [-0.17, 1.06, -1.14], [-0.49, -1.12, 2.78], [-0.06, -1.47, -0.85], [-0.58, 1.57, -1.30], [-0.74, 0.17, 0.43], [0.51, -1.77, 0.57], [1.02, -4.27, 2.63], [0.42, -0.15, -0.36]],
  "nbo_charge": [0.22, -0.20, 0.48, 0.22, 0.23, -0.29, 0.22, -0.27, 0.19, -0.20, -0.23, 0.19, -0.48, 0.24, -0.19, -0.18, -0.56, -0.18, 0.11, 0.17, 0.28, 0.23],
  "smiles": "CO[C@@](Br)(C(=O)C#N)c1ccccc1",
  "orbital_gap_ev": 9.27,
  "e_above_lowest_kj_mol": 196.6,
  "e_homo_ev": -9.540
}

3.
{
  "formula": "C12H7N2O5Pd",
  "method": "wB97M-V/def2-TZVPD",
  "symbols": ["O", "C", "C", "O", "C", "Pd", "H", "C", "C", "N", "C", "O", "C", "C", "O", "C", "H", "C", "H", "C", "H", "H", "C", "N", "H", "H", "O"],
  "xyz": [[1.260, -0.206, -2.177], [1.922, 1.801, 1.587], [2.276, -0.503, 2.345], [-1.099, 1.575, -3.035], [-0.216, -1.818, -3.058], [-2.291, 0.487, -0.573], [0.278, 2.097, 0.133], [1.242, -0.881, 1.491], [0.855, 1.420, 0.760], [-0.614, -0.569, 0.273], [-1.395, 1.076, -2.040], [-4.937, 0.972, -2.175], [-2.478, 1.541, 1.039], [2.599, 0.866, 2.388], [-1.011, -2.536, -2.567], [0.778, -0.862, -3.101], [2.799, -1.255, 2.929], [0.520, 0.066, 0.754], [-1.320, -2.597, 0.399], [-4.085, 0.767, -1.437], [3.402, 1.223, 3.038], [0.922, -0.862, -4.164], [-0.565, -1.846, 0.604], [0.542, -2.079, 1.345], [0.834, -2.985, 1.699], [2.227, 2.854, 1.600], [-2.445, 2.254, 1.944]],